Source >
+++
No. 1
Entry from the Open Molecules 2025 dataset: 5 unconnected molecules or ions with the total composition C27H35ClIN2O16 in a non-equilibrium geometry (ωB97M-V/def2-TZVPD).

Each line ends with the Löwdin charge.
CARTESIAN COORDINATES (ANGSTROEM)
C: 5.410 -0.274 3.047  -0.11
O: 5.988 0.077 1.774  -0.21
C: 5.088 -0.378 0.733  -0.20
C: 4.046 0.782 0.365  -0.14
C: 2.624 0.293 0.849  -0.21
C: 1.419 0.948 0.036  -0.14
O: 0.729 -0.129 -0.668  -0.07
C: -0.628 0.089 -0.741  -0.43
O: -1.106 0.352 -1.815  0.16
C: -1.634 0.010 0.447  -0.05
C: -2.877 0.789 0.274  0.12
C: -3.891 0.728 1.329  -0.10
C: -5.253 1.483 1.207  -0.09
C: -6.243 0.591 0.319  -0.22
C: -6.880 -0.603 1.141  -0.54
Cl: -5.827 -2.083 1.150  0.55
N: -3.704 -0.008 2.490  -0.06
O: -4.634 -0.053 3.498  0.05
C: -4.120 0.716 4.532  -0.21
N: -3.874 1.417 5.405  0.24
C: -2.545 -0.753 2.682  -0.01
C: -1.487 -0.772 1.694  -0.51
I: 0.218 -1.982 2.090  1.17
H: 4.336 0.052 3.055  0.08
H: 5.968 0.254 3.868  0.10
H: 5.418 -1.388 3.226  0.10
H: 5.646 -0.746 -0.167  0.12
H: 4.561 -1.276 1.178  0.11
H: 4.378 1.700 0.919  0.11
H: 4.058 1.039 -0.725  0.11
H: 2.543 -0.820 0.706  0.05
H: 2.427 0.473 1.940  0.09
H: 0.688 1.441 0.746  0.13
H: 1.800 1.752 -0.652  0.14
H: -3.048 1.410 -0.633  0.15
H: -5.145 2.452 0.659  0.13
H: -5.712 1.711 2.203  0.12
H: -5.661 0.159 -0.545  0.11
H: -7.108 1.199 -0.062  0.12
H: -7.165 -0.250 2.173  0.09
H: -7.861 -0.849 0.645  0.08
H: -2.444 -1.338 3.634  0.15
C: -3.753 -6.224 2.780  -0.11
C: -3.168 -5.590 1.549  -0.12
O: -2.494 -4.446 2.074  0.01
C: -2.215 -4.707 3.381  -0.58
O: -1.512 -4.028 4.066  0.08
O: -2.838 -5.834 3.802  0.08
H: -3.812 -7.309 2.704  0.14
H: -4.743 -5.831 3.024  0.14
H: -2.438 -6.233 1.052  0.14
H: -3.929 -5.296 0.827  0.13
C: 6.680 3.544 -0.982  -0.13
C: 7.603 4.687 -0.672  -0.11
O: 6.774 5.569 0.082  0.07
C: 5.781 4.823 0.630  -0.56
O: 5.013 5.220 1.450  0.16
O: 5.774 3.561 0.122  0.04
H: 7.201 2.593 -1.042  0.10
H: 6.116 3.700 -1.905  0.13
H: 8.452 4.383 -0.054  0.14
H: 7.978 5.176 -1.570  0.14
C: 8.413 0.045 -4.677  -0.12
C: 7.691 1.354 -4.835  -0.12
O: 7.697 1.882 -3.510  0.04
C: 8.743 1.307 -2.853  -0.55
O: 9.132 1.650 -1.781  0.16
O: 9.284 0.295 -3.577  0.07
H: 8.978 -0.231 -5.565  0.14
H: 7.740 -0.776 -4.415  0.14
H: 8.219 2.047 -5.494  0.14
H: 6.672 1.229 -5.199  0.14
C: -8.979 -0.865 -4.212  -0.12
C: -7.821 -0.767 -3.258  -0.13
O: -8.230 0.270 -2.368  0.03
C: -9.592 0.324 -2.411  -0.56
O: -10.259 0.965 -1.664  0.17
O: -10.084 -0.449 -3.413  0.07
H: -9.129 -1.877 -4.585  0.14
H: -8.882 -0.185 -5.061  0.14
H: -7.671 -1.686 -2.685  0.13
H: -6.889 -0.505 -3.757  0.13

## Properties
Orbital gap = 6.274 eV
Spin multiplicity = 1
Total energy = -84917.392 eV
Net charge = +1
E_HOMO = -11.33 eV
E_LUMO = -0.1860 Eh

---

No. 2
Entry from the Open Molecules 2025 dataset: 15 unconnected molecules or ions with the total composition C3H37N2O16 in a non-equilibrium geometry (ωB97M-V/def2-TZVPD).

Each line ends with the Löwdin charge.
CARTESIAN COORDINATES (ANGSTROEM)
N: -1.179 2.164 0.489  0.18
C: 0.231 1.610 0.466  -0.22
C: -0.031 0.068 0.486  -0.17
O: -0.449 -0.100 -0.877  -0.09
C: 1.078 2.254 1.588  -0.60
N: 1.609 1.493 2.595  0.10
O: 1.353 3.419 1.409  -0.01
H: -1.686 1.570 -0.229  0.14
H: -1.634 1.895 1.368  0.11
H: -1.203 3.150 0.272  0.07
H: 0.778 1.900 -0.412  0.13
H: 0.939 -0.417 0.635  0.10
H: -0.911 0.065 1.223  0.13
H: -0.607 -1.027 -1.060  0.04
H: 1.964 1.816 3.497  0.11
H: 1.946 0.542 2.559  0.07
H: -1.189 -1.084 -3.395  -0.01
H: -1.238 -2.026 -4.657  0.05
O: -1.256 -1.995 -3.695  -0.05
H: -1.273 1.992 4.350  0.07
H: -0.445 0.946 3.429  -0.02
O: -1.246 1.465 3.511  -0.11
H: 3.305 -0.122 -1.976  0.00
H: 3.048 1.278 -1.587  0.01
O: 3.044 0.723 -2.369  -0.09
H: -2.193 -3.252 1.581  -0.01
H: -1.588 -4.425 2.316  0.06
O: -1.391 -3.826 1.589  -0.10
H: 2.569 -2.381 -2.427  0.07
H: 2.417 -2.407 -0.820  -0.01
O: 3.018 -2.248 -1.548  -0.06
H: -3.378 -1.859 1.246  0.08
H: -4.218 -3.051 0.996  0.08
O: -3.722 -2.657 1.732  -0.06
+++
Request >
The reader should find "-3.891 0.728" and "-1.570" in the contents further above, and copy these two lines and those between.
Reply >
C: -3.891 0.728 1.329  -0.10
C: -5.253 1.483 1.207  -0.09
C: -6.243 0.591 0.319  -0.22
C: -6.880 -0.603 1.141  -0.54
Cl: -5.827 -2.083 1.150  0.55
N: -3.704 -0.008 2.490  -0.06
O: -4.634 -0.053 3.498  0.05
C: -4.120 0.716 4.532  -0.21
N: -3.874 1.417 5.405  0.24
C: -2.545 -0.753 2.682  -0.01
C: -1.487 -0.772 1.694  -0.51
I: 0.218 -1.982 2.090  1.17
H: 4.336 0.052 3.055  0.08
H: 5.968 0.254 3.868  0.10
H: 5.418 -1.388 3.226  0.10
H: 5.646 -0.746 -0.167  0.12
H: 4.561 -1.276 1.178  0.11
H: 4.378 1.700 0.919  0.11
H: 4.058 1.039 -0.725  0.11
H: 2.543 -0.820 0.706  0.05
H: 2.427 0.473 1.940  0.09
H: 0.688 1.441 0.746  0.13
H: 1.800 1.752 -0.652  0.14
H: -3.048 1.410 -0.633  0.15
H: -5.145 2.452 0.659  0.13
H: -5.712 1.711 2.203  0.12
H: -5.661 0.159 -0.545  0.11
H: -7.108 1.199 -0.062  0.12
H: -7.165 -0.250 2.173  0.09
H: -7.861 -0.849 0.645  0.08
H: -2.444 -1.338 3.634  0.15
C: -3.753 -6.224 2.780  -0.11
C: -3.168 -5.590 1.549  -0.12
O: -2.494 -4.446 2.074  0.01
C: -2.215 -4.707 3.381  -0.58
O: -1.512 -4.028 4.066  0.08
O: -2.838 -5.834 3.802  0.08
H: -3.812 -7.309 2.704  0.14
H: -4.743 -5.831 3.024  0.14
H: -2.438 -6.233 1.052  0.14
H: -3.929 -5.296 0.827  0.13
C: 6.680 3.544 -0.982  -0.13
C: 7.603 4.687 -0.672  -0.11
O: 6.774 5.569 0.082  0.07
C: 5.781 4.823 0.630  -0.56
O: 5.013 5.220 1.450  0.16
O: 5.774 3.561 0.122  0.04
H: 7.201 2.593 -1.042  0.10
H: 6.116 3.700 -1.905  0.13
H: 8.452 4.383 -0.054  0.14
H: 7.978 5.176 -1.570  0.14